How the beauty industry will develop in the next 10 years
Let’s look into the future.
The world of beauty is developing rapidly today. Beauty and cosmetology are no longer equated with means of disguise and protection. Their choice is considered consciously, considering as a whole complex that the body needs for healthy functioning. Beauty is vitamins, lifestyle and mood. And the main trends are no longer set by manufacturers. They are forced to adapt to the requirements of consumers and respond to socio-cultural changes in society.
Cosmetology as preventive medicine
Cosmetology today focuses on the diagnosis, treatment and prevention of human diseases, taking into account his individual characteristics. This approach gave rise to a new direction – preventive medicine, which is part of the general medical approach to treatment – 5R-medicine. “It boils down to 5 basic principles: predictive, or predictive, preventive, or preventive, participatory – medicine in which the patient is a participant in the process, he is informed and trained, and helps in choosing. Personalized – the uniqueness of each person is taken into account, and the treatment plan is based on the selection of individual procedures. Positive – a positive attitude of the patient and the doctor to achieve a result. Such a medical approach to the patient allows achieving the most progressive results, and this applies not only to cosmetology, ”comments Irina Gnedina, chief physician of the SkinArt clinic of aesthetic medicine and laser cosmetology.
Safe and long-lasting beauty
Buyers pay more and more attention to the topic of environmental friendliness in cosmetics, read the composition of creams and communicate with consultants. Nobody believes in blind advertising and beautiful packaging. Long-term action is preferred over instant effect. This trend will continue and intensify in the future. Even luxury brands came out without parabens, sulfates, mineral oils and in eco-packaging. Although experts claim that the insignificant concentration in which these supposedly dubious substances are contained in cosmetics is absolutely harmless, consumer phobia is still growing. Today, some brands use honey as a preservative because it can last forever. Even honey found in Egyptian tombs is still edible.
Genetic tests before cosmetic procedures
The future lies in a fundamentally different way of diagnosing processes occurring in the skin and changing treatment tactics based on these data. Already today, in European cosmetic clinics and some Russian clinics, patients, along with skin diagnostics, are offered to pass a genetic test in order to predict the aging process of the body. “Our genome (the totality of all the genes of an organism) is a kind of master plan for the construction of an organism. Having passed a genetic test, it is possible to predict how a cell will age in a particular person at the genetic level, taking into account, among other things, his lifestyle. And you can also see how biochemical processes proceed: glycation, synthesis of vitamins that are most important for the skin (A, C, E). The results of genetic texts allow us to create more effective treatment and develop an individual home care plan, including taking vitamins and recommendations for correcting lifestyle, ”comments Irina Gnedina, chief physician of the SkinArt clinic of aesthetic medicine and laser cosmetology.
Hardware techniques in home care
# These quantum chemistry results were left in the article by mistake
Computed, not measured: a 4-piece molecular cluster, C16H32O4 overall, with the ωB97M-V functional and the def2-TZVPD basis.

Computed properties:
Energy (hartree): -929.72073
Multiplicity: 1
Frontier orbital gap (Ha): 0.3724
HOMO level (eV): -9.275
Energy relative to the best compared isomer or geometry (same formula, charge and spin) (kJ/mol): 8.8
Largest force on an atom (eV/Å): 1.75
SMILES: C1CCOC1.C1CCOC1.C1CCOC1.C1CCOC1

Geometry as XYZ:
```
52
Properties=species:S:1:pos:R:3:forces:R:3
O 27.3988 5.6651 9.1687 0.0 0.2 0.2
O 27.8157 8.8140 4.0299 -0.1 0.2 0.3
O 31.9071 4.4408 6.9939 -0.1 -0.1 0.2
O 33.3544 1.3418 5.6391 -0.1 -0.2 0.0
C 27.8333 7.1810 5.6813 0.0 -0.7 -0.1
C 35.1837 0.3119 6.6836 -0.6 -0.9 -0.1
C 30.7112 3.8569 6.5012 0.1 -0.4 0.0
C 32.2176 3.8611 8.2997 0.3 1.0 -1.4
C 31.0849 2.9029 8.6334 0.2 -0.1 0.1
C 29.9522 3.3704 7.7228 -0.5 -0.2 0.2
C 34.4371 2.2298 5.4235 0.4 0.3 0.2
C 27.5965 4.8618 10.3342 0.0 -0.1 -0.4
C 27.8860 8.6719 5.4478 -0.4 0.4 -0.1
C 28.7289 6.6713 4.5474 0.1 0.1 -0.2
C 25.2442 5.0878 9.8392 0.6 -0.1 -0.5
C 33.6649 0.5109 6.7434 0.3 0.1 0.0
C 26.2149 4.6450 10.9526 -0.6 -0.3 0.1
C 26.1650 5.2123 8.6204 0.2 0.4 -0.1
C 35.6974 1.6216 6.0890 -0.1 -0.3 -0.1
C 28.5689 7.7673 3.4673 0.6 -0.6 -0.5
H 26.0307 3.5967 11.1962 0.2 0.0 0.0
H 35.5814 -0.0223 7.6422 0.1 0.4 0.1
H 28.3037 5.3706 10.9835 0.1 0.0 0.0
H 28.0146 3.9023 10.0037 0.1 0.0 0.2
H 29.3454 4.1451 8.1966 0.2 0.2 -0.2
H 25.7938 5.9685 7.9272 0.2 0.0 -0.1
H 34.2008 3.2037 5.8658 0.0 0.0 -0.1
H 28.8092 9.1318 5.8173 0.0 -0.1 0.1
H 24.4284 4.3929 9.6557 -0.1 0.1 0.2
H 29.2651 2.5585 7.4719 0.1 0.0 0.0
H 35.3874 -0.5201 6.0027 0.0 0.1 -0.1
H 27.0278 9.2050 5.8565 0.1 0.1 0.1
H 30.1331 4.5730 5.9210 0.2 0.2 0.0
H 33.3864 0.9972 7.6894 -0.1 0.0 0.0
H 28.4617 5.6936 4.1460 -0.1 0.0 0.2
H 36.4690 1.3871 5.3582 0.1 0.3 0.0
H 29.7577 6.5955 4.9043 0.0 0.1 -0.1
H 28.1683 6.8444 6.6625 0.1 0.2 0.0
H 33.2099 3.4164 8.1897 -0.1 -0.3 0.3
H 36.1167 2.2855 6.8420 0.0 0.0 0.0
H 28.0535 7.3942 2.5788 -0.2 0.0 0.1
H 26.0495 5.1986 11.8757 0.1 0.2 -0.1
H 29.5501 8.1144 3.1140 -0.1 0.1 0.2
H 31.3339 1.8807 8.3425 0.2 0.0 0.1
H 33.1003 -0.4114 6.6164 0.0 0.0 0.2
H 34.5670 2.3504 4.3486 -0.1 0.0 0.0
H 24.8772 6.0946 10.0260 -0.3 -0.1 0.1
H 30.9873 3.0078 5.8612 -0.2 0.0 0.0
H 32.3178 4.7598 8.9118 -0.2 -0.4 0.6
H 26.3818 4.3026 8.0449 -0.4 -0.2 0.2
H 26.8178 6.8015 5.5445 -0.1 0.2 0.0
H 30.8697 2.9132 9.7011 -0.2 0.0 0.0
```
Forces are in eV/Å.

Results of the Löwdin charge analysis, in e, for atoms 1 through 8: -0.167, -0.137, -0.154, -0.145, -0.169, -0.167, -0.203, -0.167

Computed, not measured: C16H33AsFMoSe3Si3Te as an isolated structure, with the ωB97M-V functional and the def2-TZVPD basis.

Computed properties:
Energy (hartree): -11373.15526
Multiplicity: 1
Frontier orbital gap (spin up / spin down) (Ha): 0.1524 / 0.1523
HOMO level (spin up / spin down) (eV): -16.650 / -16.649
Net charge: +3
Largest force on an atom (eV/Å): 0.49

Geometry as XYZ:
```
59
In Japan and Korea, hardware techniques have already become part of home care and are no longer perceived as tools for beauty parlors. Cleansing, massage, anti-cellulite, anti-acne and other gadgets have become an important part of the arsenal of beauty users. True, some of them sound like an incomprehensible set of words to us. And it’s hard to imagine which part of the body to apply it to. For example, an expander for the mouth, which helps to remove the nasolabial fold and tighten the oval.
Advanced home gadgets do almost everything – they cleanse pores, relieve tension from the eyes and neck, dry acne, and tighten the skin with ultrasound. However, in Russia, home gadgets are still like wild animals. Even the world bestseller Clarisonic has officially left the Russian market, as it was poorly bought. The reason for this is the high price and more budgetary alternative of Asian manufacturers. But experts believe that Japanese and Korean beauty gadgets should take root in our country too.
Independent beauty brands
Already today, small beauty brands are actively conquering the cosmetic market in Europe and in the near future may become tangible competition for large beauty corporations. These are primarily brands from celebrities – Fenty Beauty from Rihanna, KKW Beauty from Kim Kardashian and Kylie Cosmetics from Kylie Jenner. Another category of independent producers is the beauty industry professionals such as Dr. Barbara Sturm, who created the signature brand. And also young and daring startups who decided to conquer the beauty world with new concepts and natural formulas. They have bright packaging, ideal for Instagram, closeness to the people, since their creators are ordinary people and a bright idea is at the head of everything.
Out-of-gender makeup
All gender and racial restrictions are gradually being erased in makeup. Cosmetic brands no longer produce foundation in 15–20 shades. They are expanded to at least 40-60 colors for all skin tones, taking into account all the nuances. Men’s makeup is gaining strength and is becoming an independent segment. Already today, Chanel and Givenchy have released a whole line of neutral products for a good complexion and correcting minor problems for men. Women became interested in new products and began to use them themselves. The direction promises to actively develop. This means that gender differences in cosmetics will be completely blurred.